Goh Jin Hian found liable for S$196 million in losses as company director

He was the director from from Jun. 28, 2011 to Aug. 20, 2019.

Hannah Martens| February 09, 2024, 06:54 PM

Goh Jin Hian, 55, was found liable for US$146 million (S$196 million) in losses as Inter-Pacific Petroleum's (IPP) director.

On Feb. 6, 2024, the High Court judge ruled in favour of the now-solvent marine fuel-supplying company which sued Goh for breaching his director's duty, CNA reported.

Goh is the son of Emeritus Senior Minister Goh Chok Tong and was the director of IPP from Jun. 28, 2011 to Aug. 20, 2019.

According to CNA, IPP claimed that Goh failed to look into certain issues which would have led him to realise the company was being defrauded.

Goh had an obligation to oversee the affairs

The judge, Justice Aedit Abdullah, said in his brief remarks issued on Jan. 24 that Goh had an obligation to oversee the company's affairs as a director, CNA stated.

The judge also said that the evidence showed Goh played an active role in the management of the company, assumed responsibilities and obtained information.

While a director need not know all the details of the company, Justice Abdullah said the evidence showed a lack of knowledge by Goh about IPP's cargo business.

The judge said that three "red flags" should have triggered an investigation by Goh into the company's finances:

  1. About S$177,739,309.49 (US$132 million) was owed to the company.
  2. IPP's bunker licence got suspended which posed a threat to its profitability.
  3. About S$21,005,554.76 (US$15.6 million) was owed to Maybank while IPP's licence was suspended.

"The financial position of the company was suspect, and should have primed the defendant to look further and obtain a picture of the true state of the affairs of the company and monitor what was happening within it. That was his duty as a director," said Justice Abdullah.

What comes next are records of molecules, not part of the text:
********
Molecular formula: C12H22AsN2S4Si2Ta
Method: DFT, ωB97M-V with the def2-TZVPD basis set

Structure (XYZ):
```
44
Properties=species:S:1:pos:R:3
Ta -0.9365 1.1980 0.7028
S -3.0528 1.2340 2.0461
As -2.3318 3.2853 1.6845
S -1.9045 2.9302 -0.5882
S -0.2772 2.8504 2.3999
S -3.3449 4.9949 2.1246
C 1.2900 1.7341 -2.5477
Si 1.9575 1.9687 -0.8209
C 3.7876 1.6012 -0.8700
C 1.8006 3.7390 -0.2810
N 0.9960 0.8737 0.2329
C 1.3861 -0.4334 0.6080
C 2.6851 -0.8764 0.8488
C 2.9098 -2.1855 1.2399
C 1.8459 -3.0608 1.4280
C 0.5482 -2.6312 1.2162
C 0.3110 -1.3306 0.7798
N -0.9572 -0.7903 0.4896
Si -2.3459 -1.7539 -0.0708
C -3.4090 -0.6069 -1.0924
C -1.7864 -3.1527 -1.1658
C -3.2814 -2.4183 1.3921
H 1.7875 2.4076 -3.2497
H 0.2180 1.9367 -2.5964
H 1.4558 0.7100 -2.8906
H 4.2183 2.3401 -1.5519
H 4.0263 0.6122 -1.2609
H 4.2766 1.7291 0.0969
H 2.4011 4.3352 -0.9746
H 2.1999 3.8879 0.7234
H 0.7826 4.1239 -0.2997
H 3.5150 -0.1942 0.7695
H 3.9227 -2.5180 1.4246
H 2.0279 -4.0740 1.7607
H -0.2834 -3.2967 1.4062
H -2.8080 -0.0185 -1.7912
H -3.9980 0.0821 -0.4873
H -4.1007 -1.2005 -1.6956
H -1.3361 -2.7749 -2.0861
H -2.6719 -3.7315 -1.4418
H -1.0751 -3.8319 -0.6993
H -3.6120 -1.6213 2.0596
H -2.6694 -3.1109 1.9741
H -4.1671 -2.9616 1.0536
```

Results
E: -137274.516 eV
orbital gap: 7.10 eV
highest occupied orbital energy: -0.3082 hartree

Molecular formula: C32H89ClN7O13
Method: DFT, ωB97M-V with the def2-TZVPD basis set

Structure (XYZ):
```
142
Properties=species:S:1:pos:R:3
Cl 4.4688 -9.8975 -8.2665
O 4.0314 -10.9642 -9.1057
O 5.8397 -9.4748 -8.6249
O 3.5295 -8.8319 -8.5207
O 4.5148 -10.2996 -6.8687
C 6.0734 -15.9410 -3.8158
C 4.9359 -15.1790 -4.4601
C 4.8845 -15.3353 -6.0363
O 6.1180 -14.9374 -6.6589
C 6.3717 -13.5008 -6.6190
N 3.6470 -15.6524 -3.8888
H 6.1312 -15.8926 -2.7284
H 7.0420 -15.6170 -4.1965
H 6.0678 -16.9823 -4.1378
H 5.0174 -14.1094 -4.2666
H 4.0590 -14.8106 -6.5174
H 4.7306 -16.3804 -6.3048
H 7.2479 -13.3008 -7.2359
H 6.6410 -13.1630 -5.6183
H 5.4928 -12.9059 -6.8673
H 3.4959 -15.0694 -3.0781
H 2.8974 -15.2973 -4.4652
C -0.8299 -12.1279 -8.6979
C 0.4881 -11.6673 -9.2226
C 0.7113 -12.0566 -10.6988
O 0.5749 -13.4841 -10.9530
C 0.4113 -13.9073 -12.3121
N 0.5952 -10.2332 -8.9543
H -0.9514 -11.9496 -7.6295
H -0.9836 -13.1944 -8.8626
H -1.6522 -11.6524 -9.2325
H 1.2396 -12.1904 -8.6311
H 1.7135 -11.7647 -11.0126
H 0.1019 -11.4940 -11.4060
H 1.2665 -13.6643 -12.9428
H -0.5242 -13.5013 -12.6969
H 0.1848 -14.9735 -12.3177
H 0.2615 -10.0489 -8.0190
H 1.5938 -10.0831 -8.9739
C 10.2906 -9.4644 -5.5548
C 8.8367 -9.4750 -6.1469
C 7.8545 -8.7915 -5.1900
O 7.7408 -9.4305 -3.8995
C 6.7636 -10.4989 -3.7841
N 8.7800 -8.7318 -7.3759
H 10.7079 -8.4693 -5.7094
H 10.9835 -10.2415 -5.8774
H 10.2369 -9.5983 -4.4744
H 8.5829 -10.5198 -6.3263
H 6.9027 -8.6258 -5.6946
H 8.1851 -7.7924 -4.9061
H 5.8483 -10.3413 -4.3546
H 6.4741 -10.6823 -2.7494
H 7.2592 -11.4057 -4.1309
H 8.9976 -7.7606 -7.2040
H 7.8290 -8.7687 -7.7140
C 5.5601 -14.3473 -10.1999
C 4.2055 -14.1264 -10.8952
********
The records of molecules stop here:

The judge said that if Goh performed his duties, the transactions and drawdowns that caused loss to the company would not have been carried out, CNA wrote.

Goh should have persisted

Goh claimed in his defence that there was no breach and no loss caused. He also claimed relief from liability under the Companies Act.

According to the Straits TimesGoh said in his opening statement that IPP’s cargo trades, books and records were directly managed out of its Hong Kong office. Goh claimed that if he was "suspicious" about IPP's finances, and was "inclined" to investigate, it would have required the cooperation of two people in the Hong Kong office.

[Between two parts of the article: calculated molecules]
- - -
Entry 1:
C31H46INO26S5 | ωB97M-V/def2-TZVPD

The orbital gap is 0.312 Ha. As for the SMILES: CC[C@@H](I)c1c(CCCCCOC(C)=O)cc(CCC(=O)O)c2c1C(=O)NC2=O.O=S1(=O)OCCO1.O=S1(=O)OCCO1.O=S1(=O)OCCO1.O=S1(=O)OCCO1.O=S1(=O)OCCO1. Its HOMO energy is -9.636 eV.

Geometry (Å):
H: 1.564 -6.073 5.869
C: -1.082 1.976 -4.038
H: 1.856 2.611 6.334
H: -3.459 6.184 -3.223
O: 4.612 -1.044 4.225
O: 2.890 0.585 3.534
H: 0.247 -0.588 1.320
C: 0.833 -5.300 6.117
O: -0.363 2.570 -4.775
C: -3.026 1.610 -2.819
C: -1.899 0.900 -2.132
C: 3.538 1.081 -1.629
O: -6.883 6.660 -5.563
H: -4.863 -1.056 1.951
C: 1.726 0.750 -3.324
C: -4.026 -1.680 1.653
H: 0.682 -3.155 6.137
O: -6.493 7.248 -3.193
O: -2.199 -5.045 -1.861
C: 1.707 1.544 6.201
O: 0.154 -5.881 2.995
C: -3.074 -5.749 -2.576
S: -0.248 -4.887 3.927
C: -3.183 0.016 -0.167
H: 2.663 1.065 5.991
C: -3.606 -1.421 0.208
H: 3.745 -2.132 0.315
C: 0.203 -2.530 0.527
C: -0.791 -4.783 0.126
H: 2.985 -0.521 0.405
H: 0.247 -3.036 1.486
H: 1.410 -0.653 -1.021
H: -1.290 -4.561 1.067
C: 4.418 5.038 -1.560
C: -0.657 -0.398 -0.556
C: 3.956 6.445 -1.248
H: 1.096 1.254 4.138
O: -4.598 6.977 -4.746
H: 2.328 -3.742 5.817
O: -5.828 5.045 -4.026
H: 0.347 -3.691 -1.279
H: 2.877 6.553 -1.380
H: -2.858 1.388 -4.781
H: -4.464 -1.707 -0.395
C: -1.688 -5.718 -0.694
H: -3.962 0.410 -0.797
C: -0.415 -3.461 -0.535
H: 5.337 0.057 0.169
O: 3.713 6.776 -4.476
H: 4.234 6.769 -0.250
H: -4.124 3.902 -3.739
O: 4.617 7.252 -2.231
H: -4.059 -4.115 -3.525
H: -2.791 5.962 -4.858
H: 1.500 1.100 -4.321
C: -0.750 1.106 -2.880
O: -4.128 1.846 -2.443
O: -1.393 -4.082 3.691
C: 5.056 -0.543 1.030
H: 3.737 4.282 -1.175
O: 3.441 1.179 -0.447
H: 0.106 -5.338 0.380
O: 0.993 -3.934 4.233
C: 0.468 0.543 -2.521
H: 5.837 -1.276 1.242
C: -0.467 -1.165 0.727
O: 3.268 -1.459 2.217
H: -4.208 -5.667 -4.364
S: 0.243 -0.278 7.061
H: -4.344 -2.715 1.764
C: -3.701 5.964 -4.266
H: -1.178 -6.624 -1.001
H: -2.525 -6.037 -0.081
O: 0.229 -0.105 5.473
O: 4.458 4.978 -2.990
O: 6.124 6.489 -4.004
O: 0.935 -1.476 7.399
S: 3.887 -0.375 3.209
H: -0.176 1.900 5.201
H: -2.822 -2.138 -0.007
C: 2.637 1.784 -2.592
C: 1.271 -3.930 5.651
I: -3.057 1.443 1.452
H: -3.206 -1.545 2.350
O: -1.054 -0.034 7.576
O: -0.371 -5.550 5.370
C: -4.488 4.678 -4.393
H: 1.990 2.418 -1.998
H: 5.423 4.852 -1.177
C: -1.898 0.145 -0.950
H: 0.620 -5.329 7.181
S: 4.770 6.432 -3.599
O: 4.896 0.300 2.179
H: 2.228 -0.215 -3.351
H: -2.685 -4.790 -4.427
H: -1.364 -1.218 1.326
N: -2.518 2.062 -4.095
H: 3.170 2.393 -3.316
O: 4.507 0.264 -2.178
H: 1.222 -2.313 0.216
H: -1.239 -3.026 -1.085
C: 0.482 -0.207 -1.346
H: 4.061 -0.506 -2.553
C: 0.681 1.225 5.139
C: 3.701 -1.200 0.872
O: -3.441 -6.856 -2.288
S: -6.106 6.578 -4.381
C: -3.541 -5.029 -3.800
H: -4.497 4.317 -5.424
O: 1.159 0.978 7.403



Entry 2:
C31H46LuN2O6P2 | ωB97M-V/def2-TZVPD
- - -
[The calculated molecules stop here]

However, the judge said the evidence did not show that Goh reduced his role to a purely non-executive one after July 2015, and there was a need for him to be aware of and monitor all the activities, including IPP's cargo trading business.

CNA said Goh pointed to certain information within the company to say there was enough basis to be satisfied or not probe more, but the judge rejected it.

Goh argued that the banks breached their duties to the company but the judge found that "speculative" and a separate issue from Goh's liability.

The judge also stated that the Companies Act does not apply to Goh as that requires the court to find the person acted "honestly and reasonably".

In response to the Straits Times, Goh said that he would consider an appeal against the judgement and would discuss it with his lawyers.

Goh facing criminal charges

In September 2023, Goh was charged with offences, including alleged false trading, under the Securities and Futures Act (SFA), related to his former role as the CEO of New Silkroutes Group.

He was handed 39 charges under the Act.

Top photos via  Digiland International Limited & New Silkroutes